“I want to talk to you about time management,” Paddy said as I plunked our coffees down on the table.
“One of my favourite topics,” I replied. “Why?”
“Well,” Paddy said, “my son is having a lot of trouble managing his time and I thought you might have some suggestions. For example, what’s that catchphrase you like to use about time management?”
“You mean days are like identical suitcases; some people can pack more into them than others?” I asked.
“Yeah,” that’s the one he said, “but you usually added something to it.”
“It was probably that everyone has the same 24 hours available every day,” I suggested.
“Right,” Paddy said. “So, what, in your opinion, is the key to time management?”
- - -
(1)
Calculated X-ray diffraction stick pattern
Compound: Ho4B3N4
Radiation: a wavelength of 1.5418 Å
Structure: DFT lattice parameters and positions (PBE)

Atomic structure:
```
data_Ho4B3N4
_chemical_formula_sum 'Ho8 B6 N8'
_cell_length_a 23.1093
_cell_length_b 3.3478
_cell_length_c 3.4828
_cell_angle_alpha 90.00
_cell_angle_beta 90.08
_cell_angle_gamma 90.00
_symmetry_space_group_name_H-M 'C 1 2/m 1'
_symmetry_Int_Tables_number 12
_symmetry_space_group_name_Hall '-C 2y'
loop_
_atom_site_label
_atom_site_fract_x
_atom_site_fract_y
_atom_site_fract_z
Ho1 0.0718 0.0000 0.0008
Ho2 0.1793 0.5000 0.5000
B1 0.0000 0.5000 0.5000
B2 0.2323 0.0000 0.0000
N1 0.0636 0.5000 0.5008
N2 0.1673 0.0000 0.9999
```

Main lines, by angle (2θ = 10–80°):
- hkl 2 0 -1, 2θ = 26.73°, I 62
- hkl 3 1 0, 2θ = 29.08°, I 47
- hkl 8 0 0, 2θ = 30.96°, I 68
- hkl 5 1 0, 2θ = 33.04°, I 59
- hkl 6 0 1, 2θ = 34.73°, I 83
- hkl 1 1 -1, 2θ = 37.46°, I 100
- hkl 7 1 1, 2θ = 46.62°, I 29
- hkl 9 1 -1, 2θ = 52.00°, I 37
- hkl 14 0 1, 2θ = 62.25°, I 37
- hkl 6 2 1, 2θ = 66.57°, I 26

(2)
Calculated X-ray diffraction stick pattern
Compound: Ho2Ni2B3N
Radiation: a wavelength of 1.5418 Å
Structure: DFT lattice parameters and positions (PBE)

Atomic structure:
```
data_Ho2Ni2B3N
_chemical_formula_sum 'Ho2 Ni2 B3 N1'
_cell_length_a 3.6043
_cell_length_b 3.6043
_cell_length_c 7.4519
_cell_angle_alpha 90.00
_cell_angle_beta 90.00
_cell_angle_gamma 90.00
_symmetry_space_group_name_H-M 'P 4 m m'
_symmetry_Int_Tables_number 99
_symmetry_space_group_name_Hall 'P 4 -2'
loop_
_atom_site_label
_atom_site_fract_x
_atom_site_fract_y
_atom_site_fract_z
Ho1 0.0000 0.0000 0.0000
Ho2 0.5000 0.5000 0.3395
Ni1 0.0000 0.5000 0.6567
B1 0.0000 0.0000 0.5083
B2 0.5000 0.5000 0.0024
B3 0.5000 0.5000 0.7859
N1 0.0000 0.0000 0.3143
```

Main lines, by angle (2θ = 10–80°):
- hkl 1 0 1, 2θ = 27.49°, I 100
- hkl 1 0 2, 2θ = 34.63°, I 63
- hkl 1 1 0, 2θ = 35.21°, I 22
- hkl 0 0 3, 2θ = 36.16°, I 41
- hkl 1 1 1, 2θ = 37.29°, I 59
- hkl 1 1 2, 2θ = 43.00°, I 46
- hkl 2 0 0, 2θ = 50.65°, I 35
- hkl 2 1 1, 2θ = 58.59°, I 26
- hkl 2 1 2, 2θ = 62.81°, I 23
- hkl 2 0 3, 2θ = 63.81°, I 30

(3)
Calculated X-ray diffraction stick pattern
Compound: YHo2Ni2B2N3
Radiation: a wavelength of 1.5418 Å
Structure: DFT lattice parameters and positions (PBE)

Atomic structure:
```
data_YHo2Ni2B2N3
_chemical_formula_sum 'Y2 Ho4 Ni4 B4 N6'
_cell_length_a 3.4634
_cell_length_b 3.4634
_cell_length_c 20.0355
_cell_angle_alpha 90.00
_cell_angle_beta 90.00
_cell_angle_gamma 90.00
_symmetry_space_group_name_H-M 'I 4/m m m'
- - -
The text goes on.
“There’s no ‘key’ as such,” I told him. “Time management is a very personal matter so there’s no one-size-fits-all solution. Different people have different problems managing their time.”
“Tell me about them,” Paddy said, taking his pen and little notebook out of his jacket pocket.
“OK,” I said, “but remember that these are all important aspects of effective time management, so there’s no order of importance here.”
“My pen is poised,” Paddy said, quite unnecessarily.
“Let’s start with the fact that the strongest memory is weaker than the palest ink,” I said, “so you need to have to-do lists. And I deliberately used the plural. Unless your son has a one-dimensional job he probably should have lists covering a number of topics. Also, everyone needs separate home and work lists”
“How about changing the lists?” Paddy asked.
“To-do lists can and should be changed when it’s advantageous or necessary to do so. For example, when you get bogged down in a particularly difficult task, it’s a good idea to pick one or two easier tasks and get a couple of successes behind you rather than stick to the strict order of the list. Also, to-do lists should be changed when priorities change. It’s also important to remember that everything can’t be a number one priority.”
“How many priority items should a person have?” Paddy asked.
“Let me put it to you this way,” I answered, “if it takes you more than five seconds to state your priorities, you really don’t have any.”
“Hey, I like that,” Paddy said, “I often get bogged down because I think I have too many priority items. What’s next?”
“Never let the fact that you can’t do everything you want to do keep you from doing what you can do,” I answered. “You can’t do everything right now, but you can do something right now. Instead of wasting time lamenting about the length of your list, pick an item and deal with it. I call it the 3D system. Every item on your list has to be Done, Delegated or Ditched. If it has to be done by your son and he can’t deal with it right away, he should schedule a specific time later to deal with it. If an item can be delegated to someone else, then he should delegate it. If it can’t be dealt with or delegated he has to ditch it”
“How do you choose?” Paddy asked.
“He should delegate items that he doesn’t like to do or that are weaknesses of his, but he has to be careful not to delegate them to someone for whom they are also weaknesses. As I mentioned, items that he really can’t do or delegate have to be ditched; not all tasks that we think we have to do really need to be done. Keeping an item on a to-do list that you’re never going to get around to doing makes no more sense than keeping an item on the list that you will never be capable of doing.”
I paused for a few moments to take a couple of sips of coffee and to let Paddy catch up.
“Next point, please,” Paddy said when he finished his scribbling.
“Tell your son to examine his habits,” I told Paddy. “Time is usually wasted in minutes, not hours; but a bucket with a tiny hole in the bottom will get just as empty as one with a hole you can put your fist through; it will just take a little longer.”
" What do you mean by examine his habits?” Paddy quite reasonably asked.
“He should keep track of his activities for a week or so and see where those minutes are slipping through that tiny hole in the bucket and adjust his activities accordingly,” I explained. “The only time that anyone can really manage is right now. Take care of the minutes and hours; let the calendar take care of the days, weeks, months and years.”
“Anything else that’s particularly important?” Paddy asked.
“Yes,” I said, “a very important point as a matter of fact. When establishing deadlines, he needs to base them on what he can do, not on what he’d like to do. Unrealistic deadlines are stressful and counter-productive to effective time management. For example, he’ll achieve more with a number of shorter deadlines for the various steps of a project rather than by having one long time line for the project itself. Another thing to remember about deadlines is that they should be changed only when there’s no other choice. When deadlines become negotiable they become ineffective.”
“What’s the biggest time management mistake?” Paddy asked.
“That would depend on the particular circumstances,” I told him. “But the most common time management mistake is taking on more than can be realistically accomplished. If he’s already busy, and I assume he is or he wouldn’t be having time management problems, he’s going to have to drop an old activity before taking on a new one. He’ll never be a good time manager until he learns to say no. A polite no is always better than a broken promise.”
“I’ve got to go,” Paddy said, “but give me one over-riding technique that would be effective for both the office and at home.”
“That’s easy,” I said, “do at least one thing every day that you would rather put off, and do it as early in the day as you can.”
“Does shaving count? “Paddy asked as he got up to leave.
These data records were left in the piece by mistake =
+++
1.
Structure and simulated powder diffraction line list of Tl3IrN6O12 (a crystal structure in the Materials Project, relaxed with GGA-PBE; Cu Kα (weighted mean of Kα1 and Kα2)).
Peak positions follow from Bragg's law for the DFT cell and can differ from measured ones.

Atomic structure:
```
Tl3IrN6O12
1.0
0.000 5.382 5.382
5.382 0.000 5.382
5.382 5.382 0.000
Tl Ir N O
3 1 6 12
Direct
0.000 0.000 0.000
0.250 0.250 0.250
0.750 0.750 0.750
0.500 0.500 0.500
0.313 0.313 0.687
0.313 0.687 0.313
0.313 0.687 0.687
0.687 0.313 0.313
0.687 0.313 0.687
0.687 0.687 0.313
0.086 0.500 0.500
0.086 0.500 0.914
0.086 0.914 0.500
0.500 0.086 0.500
0.500 0.086 0.914
0.500 0.500 0.086
0.500 0.500 0.914
0.500 0.914 0.086
0.500 0.914 0.500
0.914 0.086 0.500
0.914 0.500 0.086
0.914 0.500 0.500
```

Top 10 peaks for 2θ = 15–90°, low angle first:
two_theta  intensity
23.4  100
33.3  40
41.1  53
47.8  24
53.9  25
59.5  7
64.8  29
74.9  17
79.7  8
84.4  8



2.
Structure and simulated powder diffraction line list of Sr3Ir2N4 (a crystal structure in the Materials Project, relaxed with GGA-PBE; Cu Kα (weighted mean of Kα1 and Kα2)).
Peak positions follow from Bragg's law for the DFT cell and can differ from measured ones.

Atomic structure:
```
Sr3Ir2N4
1.0
6.348 0.000 0.000
0.000 9.784 0.000
0.000 0.000 9.843
Sr Ir N
12 8 16
Direct
0.116 0.162 0.077
0.116 0.338 0.423
0.250 0.000 0.395
0.250 0.500 0.105
0.384 0.662 0.423
0.384 0.838 0.077
0.616 0.162 0.923
0.616 0.338 0.577
0.750 0.000 0.605
0.750 0.500 0.895
0.884 0.662 0.577
0.884 0.838 0.923
0.074 0.250 0.750
0.250 0.000 0.718
0.250 0.500 0.782
0.426 0.750 0.750
0.574 0.250 0.250
0.750 0.000 0.282
0.750 0.500 0.218
0.926 0.750 0.250
0.001 0.576 0.337
0.001 0.924 0.163
0.098 0.632 0.885
0.098 0.868 0.615
0.402 0.132 0.615
0.402 0.368 0.885
0.499 0.076 0.163
0.499 0.424 0.337
0.501 0.576 0.663
0.501 0.924 0.837
0.598 0.632 0.115
0.598 0.868 0.385
0.902 0.132 0.385
0.902 0.368 0.115
0.999 0.076 0.837
0.999 0.424 0.663
```

Top 10 peaks for 2θ = 15–90°, low angle first:
two_theta  intensity
16.6  70
18.0  61
18.9  48
29.6  48
30.7  100
32.0  85
33.7  64
40.6  43
48.5  47
54.9  52



3.
Structure and simulated powder diffraction line list of Sr7IrN6 (a crystal structure in the Materials Project, relaxed with GGA-PBE; Cu Kα (weighted mean of Kα1 and Kα2)).
Peak positions follow from Bragg's law for the DFT cell and can differ from measured ones.

Atomic structure:
```
Sr7IrN6
1.0
11.926 0.000 0.000
0.000 6.709 0.000
0.000 0.000 14.152
Sr Ir N
28 4 24
Direct
0.000 0.070 0.250
0.000 0.930 0.750
0.036 0.231 0.517
0.036 0.769 0.017
0.211 0.393 0.117
0.211 0.607 0.617
0.215 0.370 0.873
0.215 0.630 0.373
0.285 0.130 0.373
0.285 0.870 0.873
0.289 0.107 0.617
0.289 0.893 0.117
0.464 0.269 0.017
0.464 0.731 0.517
0.500 0.430 0.750
0.500 0.570 0.250
0.536 0.269 0.483
0.536 0.731 0.983
0.711 0.107 0.883
0.711 0.893 0.383
0.715 0.130 0.127
0.715 0.870 0.627
0.785 0.370 0.627
0.785 0.630 0.127
0.789 0.393 0.383
0.789 0.607 0.883
+++
I didn’t dignify that with a response.